1                    BACKGROUND

1.1             On 22 January 2007 and 5 November 2007, the Commission granted members of the ARA a number of exemptions from the DDA and the DSAPT pursuant to sections 55(1) and 55(1A) of the DDA (‘the 2007 exemptions’).  The decisions granting these exemptions (‘the 2007 decisions’) are available on the Commission website at

1.2             The effect of the 2007 exemptions was extended by further exemptions granted by the Commission on 7 January 2010, 7 September 2010, 1 February 2012, 19 December 2013 and 26 June 2014.  The decisions of 19 December 2013 and 26 June 2014 are available on the Commission website at 


1.3             The exemptions granted on 26 June 2014 will expire on 31 December 2014.  The ARA has now applied for further exemptions, in effect extending the exemptions granted on 26 June 2014. 


1.4             The exemptions granted on 19 December 2013 and on 26 June 2014 were in each case granted for relatively short periods of six months.  These exemptions were granted to allow the ARA time to provide the Commission with further submissions and supporting materials in relation to a more substantial application for exemptions (collectively, the ‘primary application’), and for the primary application to be assessed by the Commission.  The primary application is described in the Commission’s decision of 19 December 2013. 


1.5             Since 19 December 2013, discussions have been held between the ARA and the Commission about the provision of further materials.  These discussions have been ongoing.  The ARA has provided significant further materials.  The ARA states that the complexity of the application, and the need to obtain advice on certain technical matters, meant that a significant amount of time was needed to supply these materials. 


1.6             Following the receipt of these materials, further discussions have led to the ARA amending its primary application.  That amendment has significantly reduced its complexity.  The ARA now wishes to make further submissions in support of the revised primary application. 

-- Quantum chemistry results that have nothing to do with the text --
1.
Density functional theory data (ωB97M-V with the def2-TZVPD basis set) for C5H10FNO in the gas phase.

Its total energy is -426.3000 Eh. The value obtained for the energy above the lowest of the compared OMol25 structures with the same formula, charge and spin is 37.9 kcal/mol. The SMILES is CC(C)(C)NC(=O)F.

Last column: natural (NBO) charge in e.
Geometry (Å):
C: 0.533 -1.028 -1.014  -0.624
C: 0.354 0.084 -0.028  0.061
C: -0.146 -0.454 1.339  -0.617
C: -0.749 1.128 -0.468  -0.596
N: 1.587 0.857 -0.040  -0.699
C: 3.107 -0.083 -0.017  1.006
O: 3.195 -1.222 -0.275  -0.544
F: 4.020 0.766 0.216  -0.289
H: 1.203 -0.588 -1.915  0.223
H: 1.100 -1.962 -0.544  0.238
H: -0.476 -1.405 -1.442  0.216
H: -0.669 0.481 1.868  0.203
H: 0.518 -1.044 1.865  0.211
H: -0.953 -1.176 1.159  0.216
H: -1.287 0.753 -1.355  0.213
H: -1.504 1.337 0.321  0.202
H: -0.308 2.006 -0.698  0.215
H: 1.695 1.435 0.801  0.367


2.
Density functional theory data (ωB97M-V with the def2-TZVPD basis set) for a molecular structure, C38H40N2O10P2STa.

Its charge is +3. Its total energy is -3470.8034 Eh. The value obtained for the energy above the lowest of the compared OMol25 structures with the same formula, charge and spin is 0.0 kcal/mol.

Last column: Löwdin charge in e.
Geometry (Å):
Ta: 0.232 0.260 1.509  1.879
C: -0.653 2.354 3.995  0.036
O: -0.270 0.993 3.589  -0.296
C: -1.142 0.038 4.277  -0.102
C: -2.307 -0.165 3.343  -0.082
O: -1.643 -0.628 2.120  -0.404
C: -2.047 -1.995 1.742  0.005
H: -0.502 2.408 5.070  0.126
H: -1.689 2.549 3.727  0.116
H: 0.000 3.065 3.510  0.091
H: -1.410 0.404 5.265  0.156
H: -0.575 -0.886 4.391  0.144
H: -2.838 0.752 3.090  0.143
H: -3.022 -0.911 3.680  0.157
H: -1.785 -2.667 2.557  0.117
H: -1.526 -2.272 0.827  0.065
H: -3.121 -1.982 1.575  0.114
O: 0.222 4.243 0.661  0.212
C: 0.706 3.290 1.166  -0.448
O: -0.034 2.112 1.296  -0.274
C: 2.051 3.175 1.779  -0.048
C: 2.707 4.366 2.083  0.122
C: 3.913 4.310 2.739  -0.071
C: 4.487 3.117 3.126  0.132
C: 3.835 1.937 2.817  -0.019
C: 2.629 1.944 2.110  -0.166
O: 2.028 0.785 1.702  -0.238
N: 4.481 0.692 3.272  -0.311
O: 3.777 -0.308 3.347  0.008
O: 5.622 0.758 3.627  0.178
N: 4.616 5.579 3.067  -0.341
O: 4.097 6.591 2.664  0.134
O: 5.634 5.477 3.703  0.142
H: 2.271 5.320 1.815  0.155
H: 5.427 3.107 3.661  0.154
C: -1.414 -0.649 -2.120  -0.468
P: -1.040 0.547 -0.815  0.958
C: 0.021 1.751 -1.629  -0.396
C: 1.405 1.608 -1.516  -0.133
C: 2.254 2.501 -2.150  -0.042
C: 1.718 3.541 -2.901  -0.024
C: 0.343 3.673 -3.034  -0.023
C: -0.511 2.778 -2.404  -0.062
C: -2.597 1.273 -0.254  -0.362
C: -2.730 2.633 0.029  -0.080
C: -3.962 3.138 0.423  -0.032
C: -5.058 2.295 0.548  -0.030
C: -4.929 0.936 0.277  -0.045
C: -3.706 0.427 -0.127  -0.105
P: -0.021 -1.842 -2.502  1.031
C: -0.138 -1.918 -4.311  -0.413
C: -1.275 -1.617 -5.062  -0.113
C: -1.261 -1.763 -6.440  -0.054
C: -0.115 -2.220 -7.079  -0.045
C: 1.020 -2.521 -6.342  -0.054
C: 1.011 -2.364 -4.964  -0.104
C: -0.857 -3.380 -1.952  -0.388
C: -0.451 -3.954 -0.752  -0.167


1.7             The ARA has applied for further exemptions extending the effect of the decision of 26 June 2014 to allow time for it to provide further materials, and for the Commission to conduct a public consultation about the primary application and to assess it. 


1.8             For the reasons below, the Commission has decided to grant the exemptions sought for a period of nine months, or until such time as a decision is made with respect to the primary application, whichever is sooner. 


2                    DECISION OF THE COMMISSION






3                    CONSIDERATION AND REASONS

3.1             In making its decision, the Commission had regard to the following:

3.1.1                           the terms and objects of the DDA;

3.1.2                           the DSAPT;

3.1.3                           the Disability Standards for Accessible Public Transport Guidelines 2004 (No 3);  and

Attached: quantum chemistry results:
Computed, not measured: one molecule with the formula H3N3O2 in a non-equilibrium geometry, with ωB97M-V/def2-TZVPD.

Atoms and positions in Å:
N (1.263, 0.188, -0.074)
N (0.140, -0.647, 0.156)
N (-1.019, 0.001, 0.041)
O (-0.974, 1.230, -0.015)
O (-1.988, -0.695, 0.000)
H (0.967, 0.938, -0.659)
H (1.353, 0.523, 0.855)
H (0.259, -1.537, -0.304)

The calculation puts the largest force on an atom at 2.9 eV/Å. As for the total charge: 0. The multiplicity is 1. The value obtained for the frontier orbital gap is 11.362 eV. As for the HOMO energy: -10.83 eV. The SMILES is NN[N+](=O)[O-]. Its total energy is -316.39649 Ha.

Atomic partial charges in e from the natural (NBO) method, atoms 1 to 4:
1 N -0.63
2 N -0.30
3 N 0.62
4 O -0.43


3.1.4                           the submissions received from the ARA. 

3.2             Pursuant to section 33A.1(4) of the DSAPT, the Commission has consulted the Accessible Public Transport Jurisdictional Committee about the current application.  On 10 December 2014, the Accessible Public Transport Jurisdictional Committee advised that it supports the grant of the exemptions sought in that application. 

3.3             The Commission intends to undertake a comprehensive public consultation process with respect to the primary application.  For that reason the Commission has determined that it is not necessary to conduct further consultations with respect to the interim application.  In all the circumstances, the Commission considered that it was not reasonably practicable to do so. 


3.4             The Commission notes that extensive consultations were conducted with respect to the 2007 exemptions, and relies on those consultations for the purposes of this interim application.  Those consultations are described in:


3.4.1      Schedule 3 of the Commission’s decision of 22 January 2007;

3.4.2      Schedule 2 of the Commission’s decision of 5 November 2007 (relating to “Direct Assistance in Ascending and Descending Boarding Ramps”);

3.4.3      Schedule 2 of the Commission’s decision of 5 November 2007 (relating to “Direct Assistance in Ascending and Descending Boarding Ramps”). 

3.5             The Commission is satisfied that the ARA required longer than initially anticipated to collect and provide the additional materials sought by the Commission in regard to the primary application.  The Commission notes that the discussions between the ARA and the Commission have significantly reduced the scope and complexity of the primary application. 

3.6             The Commission considers that the grant of the exemptions will provide increased certainty of obligations of members of the ARA pending the Commission’s decision with respect to the primary application.


3.7             The ARA has requested that the Commission grant exemptions for a period of nine months to allow it to provide further materials, for a public consultation to be conducted, and for the Commission to assess the revised application.  The ARA has submitted a proposed timetable for the completion of these tasks.  The Commission has decided that owing to the complexity of the application, it is appropriate to grant the requested exemption for a period of nine months.  This decision however does not constitute an acceptance or endorsement of the timetable proposed by the ARA. 


4                    REVIEW OF DECISION

4.1             Subject to the Administrative Appeals Tribunal Act 1975, application may be made to the Administrative Appeals Tribunal for a review of the decision to which this notice relates by or on behalf of any person or persons whose interests are affected by the decision.





Signed by the President, Professor Gillian Triggs, on behalf of the Commission.